Aeries Conference Ontario March 9, 2015 Aeries Conference
End of Year Submission (EOY) Smarter Balanced – (SBAC) Agenda Fall 2 End of Year Submission (EOY) Smarter Balanced – (SBAC) Assessment Data in CALPADS NSLP/FRPM local practices & LCFF impact Questions Aeries Conference
CALPADS Fall 2 Submission Aeries Conference
Final Deadline – April 2, 2015 - THURSDAY Common Issues Fall 2 Submission Final Deadline – April 2, 2015 - THURSDAY Common Issues Title II - NCLB Core Course Compliance EL Services Provided Instructional Strategy Job Class – Itinerant FTE Staff on Leave of Absence Aeries Conference
NCLB Core Course Sections Fall 2 Submission NCLB Core Course Sections Record Element(s) Values and/or Notes CRSE CRS-NCLB Core Course Instructional Level Code (9.19) Indicates whether the course is considered NCLB core. HQT Competency Code (9.28) Indicates if a course section is being taught by a highly qualified teacher. Required for NCLB course courses (NCLB Core Course Instructional Level Code = E or S). Make sure to review your passed CRSE records for CRSE0127 warnings. These warnings highlight courses reported with a CRS-NCLB Core Course Instructional Level Code that the state expects to be used for an NCLB core course, but have been reported as non-core. The CRS-NCLB Core Course Instructional Level Code values are critical for accurate HQT reporting. The Course Group Master Combos tab of the CALPADS Valid Code Combinations document listed on the Resources slide can tell you whether a course is expected to be NCLB core. Aeries Conference
Fall 2 Submission CRSE0127 warnings What do these warnings mean? If CRS-State Course Code is indicated as likely to be core then NCLB Core Course may not equal N Aeries Conference
Fall 2 Submission Refer to the CALPADS Valid Code Combo document found on the CALPADS documentation page Refer to tab “Course Group Master Combos” Y = Always NCLB Core N = Never NCLB Core U = May or may not be NCLB Core Aeries Conference
Options to correct CRSE0127 warnings Fall 2 Submission Options to correct CRSE0127 warnings Update the State Course Code to a Non Core Course or if appropriate Change the NCLB Core to “S” or “E” and report the HQT status Remember Report 3.4 is only including courses that you have flagged (reported) as core courses. It is not including non core courses. Aeries Conference
Fall 2 Submission EL Services Provided Check for CERT104 Warnings Refer to CALPADS Report 2.4 English Learner Education Services Unduplicated count derived from the field 9.20 - Education Services, per course section Check for CERT104 Warnings The Education Service Code field (9.20) is not populated for a course section in which English Learners are enrolled CALPADS Field 9.20 Education Service English Learners, Where to enter in Aeries Elementary on the Teacher Form under “other fields” Secondary on the Master Schedule under “more info” Populate this field if the staff are providing EL services in the particular course section regardless of the Instruction Strategy code. Aeries Conference
Instructional Strategy hierarchy Fall 2 Submission Instructional Strategy hierarchy Special Education Home and Hospital Any of the EL Strategies The Instructional strategy was put in place when the CDE removed specific Special Ed Courses. This is a way to differentiate if the course is instructed specifically special ed, home teaching or EL. You can still have courses with instructional strategy of example 700 Special Ed and still be providing EL services Aeries Conference
Attached: data records =
┌──
1.
# Li6Mg23 | Alexandria via LeMat-Bulk | GGA-PBE | relaxed
# * total magnetic moment: 0.00 μB per cell
# * E_form: 2.28 eV/f.u.
data_Li6Mg23
_chemical_formula_sum 'Li24 Mg92'
_space_group_name_H-M_alt 'F m -3 m'
_space_group_IT_number 225
_space_group_name_Hall '-F 4 2 3'
_cell_length_a 14.2310
_cell_length_b 14.2310
_cell_length_c 14.2310
_cell_angle_alpha 90.00
_cell_angle_beta 90.00
_cell_angle_gamma 90.00
loop_
_atom_site_label
_atom_site_type_symbol
_atom_site_fract_x
_atom_site_fract_y
_atom_site_fract_z
Li1 Li 0.0000 0.0000 0.2311
Mg1 Mg 0.0000 0.0000 0.5000
Mg2 Mg 0.0000 0.2500 0.2500
Mg3 Mg 0.1212 0.1212 0.3788
Mg4 Mg 0.1615 0.1615 0.1615

2.
# Li7Mg5 | Alexandria via LeMat-Bulk | GGA-PBE | relaxed
# * total magnetic moment: 0.00 μB per cell
# * E_form: -0.58 eV/f.u.
# * distance to the lowest polymorph of the same formula: 0.000 eV/atom
data_Li7Mg5
_chemical_formula_sum 'Li14 Mg10'
_space_group_name_H-M_alt 'C 1 2/m 1'
_space_group_IT_number 12
_cell_length_a 10.2967
_cell_length_b 4.8628
_cell_length_c 9.7749
_cell_angle_alpha 90.00
_cell_angle_beta 90.28
_cell_angle_gamma 90.00
loop_
_space_group_symop_operation_xyz
'x,y,z'
'-x,-y,-z'
'-x,y,-z'
'x,-y,z'
'x+1/2,y+1/2,z'
'-x+1/2,-y+1/2,-z'
'-x+1/2,y+1/2,-z'
'x+1/2,-y+1/2,z'
loop_
_atom_site_label
_atom_site_type_symbol
_atom_site_fract_x
_atom_site_fract_y
_atom_site_fract_z
Li1 Li 0.0000 0.0000 0.0000
Li2 Li 0.0104 0.5000 0.2656
Li3 Li 0.1554 0.0000 0.2409
Li4 Li 0.1778 0.5000 0.5153
Mg1 Mg 0.0000 0.0000 0.5000
Mg2 Mg 0.1568 0.5000 0.9887
Mg3 Mg 0.1715 0.0000 0.7530

3.
# Li7Mg2 | Alexandria via LeMat-Bulk | GGA-PBE | relaxed
# * total magnetic moment: 0.00 μB per cell
# * E_form: -0.14 eV/f.u.
# * distance to the lowest polymorph of the same formula: 0.000 eV/atom
data_Li7Mg2
_chemical_formula_sum 'Li7 Mg2'
_space_group_name_H-M_alt 'P -3 1 m'
_space_group_IT_number 162
_space_group_name_Hall '-P 3 2'
_cell_length_a 5.2928
_cell_length_b 5.2928
_cell_length_c 7.6080
_cell_angle_alpha 90.00
_cell_angle_beta 90.00
_cell_angle_gamma 120.00
loop_
_atom_site_label
_atom_site_type_symbol
_atom_site_fract_x
_atom_site_fract_y
_atom_site_fract_z
Li1 Li 0.0000 0.0000 0.0000
Li2 Li 0.0000 0.3323 0.6654
Mg1 Mg 0.3333 0.6667 0.0000

4.
# LiMg4 | Alexandria via LeMat-Bulk | GGA-PBE | relaxed
# * total magnetic moment: 0.00 μB per cell
# * E_form: -0.04 eV/f.u.
# * distance to the lowest polymorph of the same formula: 0.020 eV/atom
data_LiMg4
_chemical_formula_sum 'Li2 Mg8'
_space_group_name_H-M_alt 'I 4/m'
_space_group_IT_number 87
_space_group_name_Hall '-I 4'
_cell_length_a 6.9855
_cell_length_b 6.9855
_cell_length_c 4.5390
_cell_angle_alpha 90.00
_cell_angle_beta 90.00
_cell_angle_gamma 90.00
loop_
_atom_site_label
└──
Fall 2 Submission Job Classification Assignment 1 total FTE Assignment reported per Job Class by school, SEID Itinerant - Refer to the valid code combinations and the tab “NonClassSuppAsgn – Job Class” if the staff is teaching non classroom based otherwise relate to the state course codes. Definition for NonClassSuppAsgn – A Job assignment that does NOT involve the instruction of STUDENTS Aeries Conference
Fall 2 Submission Itinerant Staff Staff assigned to more than one school site and/or a teacher who provides one-on-one or small group support or resource instruction by either pulling students out of the classroom, or coming into the classroom to provide the instruction Can report at District or at all assigned sites Reporting student course enrollment is optional Report student course enrollments if EL services are being provided Aeries Conference
Additional Staff/Course Information Fall 2 Submission Additional Staff/Course Information Only courses that provide the primary instruction for a student in an NCLB Core Content Area are subject to NCLB compliance. Courses providing supplemental instruction (pull-out, push-in instruction) in these content areas are NOT subject to NCLB Compliance. Example, if a teacher is providing pull-out instruction in a general math course, rather than mapping your course code to Course Group State Code 2400 (General Math), you should map it to code 3020 (Consultation/instructional support). Staff Leave of Absence New this year – Report assignment code 6018, FTE 0.00 for staff still employed however on leave of absence Aeries Conference
End of Year Submission End of Year Submission Aeries Conference
EOY Reporting Calendar End of Year Submission EOY Reporting Calendar June 1, 2015 July 31, 2015 August 1, 2015 September 4, 2015 Amendment Window Opens Window Opens Initial Deadline Final Deadline Aeries Conference
End of Year Submission Year-round Reporting by Academic Year EOY records attached to open or closed enrollments within the Academic Year included All updates must be posted prior to Certification Report Period = Academic Year July 1, 2014 thru June 30, 2015 Update Year round Year-round Reporting by Academic Year Aeries Conference
EOY Reporting Requirements End of Year Submission EOY Reporting Requirements EOY 1 EOY 2 * EOY 3 * EOY 4 7-12 Course Completion CTE concentrators and completers All Grade levels Program participation counts 9-12 Waiver and Exemptions All Grade levels Discipline Incidents * All LEAs report EOY 2 and EOY 3 EOY 1 and EOY 4 reporting is based on school type and grade levels served Aeries Conference
End of Year Submission ALL EOY EOY 1 EOY 2 EOY 3 EOY 4 End of Year SENR SINF SPRG – All SELA EOY 1 SCSC CRSC SCTE EOY 2 SPRG EOY 3 SDIS EOY 4 SWAV End of Year File Types Course Completion Program Discipline Waivers & Exemptions Aeries Conference
End of Year Submission File Type Requirement SENR Any open or closed enrollment between 7/1/2014 and 6/30/2015 SINF Complete SINF SPRG For Reporting Counts: Participated in any of the following Ed Program codes 108, 113, 162, 180, 185, 101, 122, 174, 190 Subgroups for filtering: 135, 127, 144, 181, 182 SELA ELAS record CRSC Same as CRSE SCSC - Same as SCSE plus… Student Credits Attempted Student Credits Earned Student Course Final Grade SCTE CTE data only Whether or not the student completed a CTE course in the Academic Year SDIS Student Discipline SWAV Student Waivers SDEM Teachers hired after 10/3/2013 must be added SASS Not required, do not upload or enter Aeries Conference
EOY 3 – Discipline – new requirements End of Year Submission EOY 3 – Discipline – new requirements New File Format & Expanded business rules on grade level Report Discipline Incidents on infants (IN), toddlers (TD), and Preschoolers (PS) who have a program code = 144 New data Element * SDIS file (new field 4.23) – Removal to Interim Alternative Setting A coded value representing the reason a student was removed to an interim alternative setting for 45 days or less Hearing Officer Removal (1) School Personnel Removal (2) No Removal (3) *This field will not be required for the 2014-15 academic year, but will be required for all special education students for who discipline incidents are reported in the 2015-16 academic year. Aeries Conference
End of Year Submission New Validations and CVRs Validation File/submission Severity Description IVR SDIS Warning 14-15, Fatal 15-16 Validate if an overlapping SPRG record where Education Program Code = 144 (Special Education) and with a Student Offense Code equals 100, 103, 105, 200, 400, 401, 500, 503, 505, 600 - Removal to Interim Alternative Setting Reason Code is required Fatal (conditional if 4.23 – Removal to Interim Alternative Setting is submitted) Validate if Interim Alternative Setting Reason Code is populated and not equal to (3) "No Removal" Incident Disciplinary Action Duration Days must be less than or equal to 45 Validate if Disciplinary Action Taken Code = 300 (no suspension or expulsion) Removal to Interim Alternative Setting Reason must = 3 (No Removal) Validate if Disciplinary Action Duration is more than 10 days, then Instructional Support Indicator must be populated. This IVR is effective for all student populations, not just Special Ed. SPRG Prevent usage of field 3.21 Primary Disability Code 281 - established medical disability for students who are not age 3 or 4 Modify existing SDIS0096 If Incident Disciplinary Action Taken Code does not equal 300, then Incident Disciplinary Action Duration Days must be populated. NOTE: With this modification, the IVR will now be effective for all student populations, not just Special Ed. Validate on Incident Disciplinary Action Duration Days - If Incident Disciplinary Action Duration Days (Field 4.20) = 0 Then Expulsion Modification Category Code (Field 4.22) must = 100 (Enforcement Suspended) OR 200 (Shortened) Disable current IVR Invalid Incident Disciplinary Action Taken Code CVR EOY3 Validate on all current students and trigger on any student who has a reported Primary Disability Code 281 that is not 3 or 4 years of age EOY1 Requires that a student has a SCSC record associated with the CTE Pathway identified in the SCTE file. Warning Warns a district when no SCTE records have been submitted for a Perkins-funded district Aeries Conference
Ways to prepare yourself for EOY End of Year Submission Ways to prepare yourself for EOY Upload Program NOW Check for Discipline quality Stay on top of Vendor updates Discipline will have a new file format as of June 1 – new field Meet and work with local staff Review Problems encountered last year to avoid this year Communicate to sites about what is needed Set timelines Provide reports so staff can address and correct any issues now. Aeries Conference
Smarter Balanced - SBAC Smarter Balanced Assessment Consortium CAASPP California Assessment of Student Performance and Progress TOMS Test Operations Management System & CALPADS California Longitudinal Achievement Data System Aeries Conference
Smarter Balanced - SBAC Smarter Balanced Assessment Consortium (SBAC) Multistate consortium developed student assessment system aligned with common core Designed to measure student progress toward college and career readiness Digital assessments -Demographic data from CALPADS Aeries Conference
Smarter Balanced - SBAC CAASPP TOMS LEA Entry of supports and accommodations & grade level entry for assessment if US, UE reported in CALPADS CALPADS data transferred nightly See updates within 48 hours Aeries Conference
Smarter Balanced - SBAC Students who are not in CALPADS will not be able to access tests Specific student-level data elements must be kept up-to-date in CALPADS, especially before and during testing windows Demographic data is extracted from CALPADS to load into test identification system for Smarter Balanced assessments Aeries Conference
Smarter Balanced - SBAC The Smarter Balanced and CAASPP assessment is relying on CALPADS data as the authoritative source for student test registration in the Test Operations Management System (TOMS). Student demographic, enrollment, and program data are pulled nightly from CALPADS to refresh TOMS. New for the 14-15 School year for CAASPP Pre-Identification – This year, CALPADS student-level data will be used to create Pre-ID labels for the paper-pencil assessments. CALPADS will be the authoritative source for student demographic, enrollment, and program data. LEAs are no longer required to submit Pre-ID files to the test vendor. Student mailing addresses need to be current and accurate in CALPADS. The address will be used to create a mailing label for reporting assessment results to parents. Aeries Conference
Smarter Balanced - SBAC New in Aeries to accommodate the CAASPP mailing labels - SIAD (Student Information Address File) Extract Options are available to use the residential address or the mailing address. The residential address is the default option. The options are as follows: Use RESIDENTIAL ADDRESS in the SINF and SIAD Extracts: This option pulls the following address fields: RAD, RCY, RST, RZC and RZX Use MAILING ADDRESS in the SINF and SIAD Extracts: This option pulls the following address fields: AD, CY, ST, ZC and ZX When subsequent SINF or SIAD files are created the following messages will display: The SIAD and SINF extracts will use the MAILING ADDRESS The last Student Information extract was SIAD on 2/5/2015 using Mailing Address The SINF –will pull the address based on the SIAD Extract address option. The SIAD will extract all the students while the SINF file will continue to extract changes only Refer to Aeries documentation for complete detail and instruction Aeries Conference
Smarter Balanced - SBAC General Timeline regarding major data pull dates from CALPADS January 2015 – Pre-ID labels printing begins, depending on paper-pencil testing window March 2015 – Summative Smarter Balanced testing begins March/April 2015 – Student addresses need to be current and accurate. The addresses will be used to create a mailing label for reporting assessment results to parents. Aeries Conference
Smarter Balanced - SBAC Best Practice tips for CAASPP Refer to Flash 97 for the CALPADS data elements that will be used to populate TOMS During your LEA testing window Update any new enrollments in CALPADS daily to include, current grade, demographic and program data Work with site staff to stay abreast of any data changes on current students that need to be updated in TOMs Update mailing address in CALPADS using the SIAD file from Aeries When testing window is complete remember to update address data back to residential for Direct Certification process Remember keeping your data up to date in CALPADS on a regular basis is good data management however during your LEA testing window, updates are needed daily ONLY IF current student data changes or new students enroll in your LEA. Aeries Conference
Assessment data in CALPADS - Update - Assessment in CALPADS Assessment data in CALPADS - Update - Aeries Conference
Assessment in CALPADS Assessment Functionality in CALPADS CDE is evaluating when to start UAT testing with a small group of LEAs and when to fully implement Key changes Suspense functionality has been streamlined and simplified and is modeled after the current MID anomaly process Select reports modified Capability to search and view student assessment results Aeries Conference
NSLP/FRPM Local Practice NSLP/FRPM local practices & LCFF impact Aeries Conference
NSLP/FRPM Local Practice Two sides to the data FRPM Eligible Year Around FRPM Eligible on Census Day NSLP Application process CALPADs Direct Certification COE Direct Certification Foster Youth Matches Homeless Migrant Based on information day enrollment Eligibility determined via Application by 10-31 CALPADs Direct Certification record by November results COE Direct Certification determined by 10-31 and a NSLP record submitted to CALPADS with a program membership start date - information day or earlier Foster Youth Matches as of 10-1 Homeless Program record as of 10-1 Migrant Program Record as of 10-1 Aeries Conference
NSLP/FRPM Local Practice NSLP Processing Scenarios Nuance Local Lunches and/or Nutrition system CALPADS Aeries Possible resolutions and/or local processes to consider 30 day carry over Entered and tracked in lunch program system NEVER report in CALPADS NEVER report in Aeries Do not roll over the previous year's data in FRE OR do not submit a SPRG file until you have eligibility data in for the current Academic Year. Applications received & student found eligible by 10-31 of reporting year Report eligibility in CALPADS by submitting a Program 181/182 Record FRPM Eligible Reported on 1.17 for LCFF In Aeries - FRE record with an eligible start date on or prior to information day (F or R converted by Aeries to 181 or 182) When no status dates are entered in FRE, Aeries will automatically use July 1 of current year. When no end date is used, Aeries will use the student leave date or last school calendar date. Applications received and student found eligible after 10-31 of reporting year Report eligibility in CALPADS by submitting a Program 181/182 Record with proper eligibility date Not reported on 1.17 for LCFF (even if student enrolled on information day) In Aeries - FRE record with an eligible start date after (F or R converted by Aeries to 181 or 182) Enter current status including eligibility date on FRE record Aeries Conference
NSLP/FRPM Local Practice Ensure staff responsible for each data set fully understand: FRPM (Free Reduced Priced Meal) criteria FRPM for LCFF (Local Control Funding Formula) criteria Make sure all coordinators of data sources understand Aeries processes, NSLP and LCFF rules, if your local practice links this data together Work closely with your Nutrition Services Coordinator Document local processes Resources LCFF FAQ FRPM Eligibility CALPADS Frequently asked Questions CSIS/FCMAT Mapping Guides 1.17 Aeries Conference
High Level Summary Fall 2 final deadline EOY Window EOY Changes CAASPP Thursday, April 2 EOY Window June 1 – July 31 Amendment Window – August 1 – September 4 EOY Changes new data element & file format change to SDIS file New CTE CVRs CAASPP Address Data – mailing labels Assessment Functionality in CALPADS Outline NSLP/FRPM data management practices locally Aeries Conference
Questions Aeries Conference